____________
Simulated XRD peak list of Sm3Pd2Au7 for Cu Kα, 1.54184 Å, from a crystal structure in Alexandria, relaxed with GGA-PBE.
Kinematic intensities with the Lorentz-polarization factor, no thermal factor.

Largest 10 diffraction maxima, sorted by position, 2θ = 5–70°:
2θ 5.70, I = 31, (0 2 0); 2θ 32.11, I = 11, (1 3 1); 2θ 32.33, I = 12, (0 8 1); 2θ 34.19, I = 100, (1 5 1); 2θ 37.11, I = 41, (1 7 1); 2θ 38.35, I = 17, (1 11 0); 2θ 40.73, I = 34, (0 14 0); 2θ 42.61, I = 31, (2 0 0); 2θ 45.84, I = 25, (0 0 2); 2θ 64.37, I = 18, (2 0 2)

Atomic structure:
Lattice parameters (Å, degrees): 4.243 30.992 3.959 90.00 90.00 90.00
Space group Cmmm (No. 65)
Symmetry-distinct sites (fractional):
Sm  0.000  0.000  0.000 x2
Sm  0.000  0.177  0.000 x4
Pd  0.000  0.363  0.500 x4
Au  0.000  0.079  0.500 x4
Au  0.000  0.277  0.500 x4
Au  0.000  0.426  0.000 x4
Au  0.000  0.500  0.500 x2


Starting from a crystal structure in Alexandria, relaxed with GGA+U, the PXRD pattern of Mn9Al2Si8H8O32 was simulated for CuKα.
Neutral-atom scattering factors, no anomalous dispersion.

Cell lengths 7.728, 8.432, 10.513 Å; angles 103.98, 104.53, 93.87 degrees
Atoms (fractional coordinates):
Mn: 0.000 0.000 0.000
Mn: 0.120 0.166 0.558
Mn: 0.138 0.392 0.073
Mn: 0.421 0.163 0.201
Mn: 0.448 0.431 0.727
Mn: 0.552 0.569 0.273
Mn: 0.579 0.837 0.799
Mn: 0.862 0.608 0.927
Mn: 0.880 0.834 0.442
Al: 0.268 0.780 0.132
Al: 0.732 0.220 0.868
Si: 0.179 0.746 0.800
Si: 0.206 0.432 0.397
Si: 0.300 0.811 0.451
Si: 0.313 0.116 0.859
Si: 0.687 0.884 0.141
Si: 0.700 0.189 0.549
Si: 0.794 0.568 0.603
Si: 0.821 0.254 0.200
H: 0.024 0.323 0.810
H: 0.138 0.989 0.270
H: 0.388 0.575 0.991
H: 0.499 0.014 0.625
H: 0.501 0.986 0.375
H: 0.612 0.425 0.009
H: 0.862 0.011 0.730
H: 0.976 0.677 0.190
O: 0.010 0.634 0.676
O: 0.055 0.640 0.132
O: 0.121 0.769 0.944
O: 0.139 0.928 0.441
O: 0.178 0.984 0.188
O: 0.199 0.930 0.771
O: 0.220 0.633 0.461
O: 0.247 0.167 0.999
O: 0.254 0.245 0.765
O: 0.273 0.349 0.522
O: 0.314 0.396 0.280
O: 0.355 0.577 0.075
O: 0.364 0.664 0.805
O: 0.386 0.790 0.321
O: 0.462 0.891 0.596
O: 0.472 0.904 0.117
O: 0.528 0.096 0.883
O: 0.538 0.109 0.404
O: 0.614 0.210 0.679
O: 0.636 0.336 0.195
O: 0.645 0.423 0.925
O: 0.686 0.604 0.720
O: 0.727 0.651 0.478
O: 0.746 0.755 0.235
O: 0.753 0.833 0.001
O: 0.780 0.367 0.539
O: 0.801 0.070 0.229
O: 0.822 0.016 0.812
O: 0.861 0.072 0.559
O: 0.879 0.231 0.056
O: 0.945 0.360 0.868
O: 0.990 0.366 0.324

Largest 10 diffraction maxima, sorted by position, 2θ from 10° to 90°:
- (1 0 -2), 18.7°, rel. 78
- (1 0 2), 24.4°, rel. 41
- (-2 1 1), 25.3°, rel. 37
- (-1 2 1), 26.2°, rel. 37
- (0 1 -3), 26.6°, rel. 68
- (-2 1 2), 28.7°, rel. 40
- (2 2 -1), 32.7°, rel. 100
- (-2 3 1), 40.1°, rel. 44
- (1 -1 4), 40.2°, rel. 46
- (3 2 -3), 44.1°, rel. 41


Record 1
Starting from a structure optimized by DFT (PBE), the powder diffractogram of Th3Ga8Pt3 was simulated for CuKα.

Cell and atoms:
```
data_Th3Ga8Pt3
_chemical_formula_sum 'Th6 Ga16 Pt6'
_cell_length_a 16.024
_cell_length_b 4.543
_cell_length_c 9.074
_cell_angle_alpha 90.00
_cell_angle_beta 124.39
_cell_angle_gamma 90.00
_symmetry_space_group_name_H-M 'C 1 2/m 1'
_symmetry_Int_Tables_number 12
loop_
_symmetry_equiv_pos_as_xyz
'x,y,z'
'-x,-y,-z'
'-x,y,-z'
'x,-y,z'
'x+1/2,y+1/2,z'
'-x+1/2,-y+1/2,-z'
'-x+1/2,y+1/2,-z'
'x+1/2,-y+1/2,z'
loop_
_atom_site_label
_atom_site_fract_x
_atom_site_fract_y
_atom_site_fract_z
Th1 0.000 0.000 0.000
Th2 0.211 0.500 0.714
Ga1 0.001 0.500 0.677
Ga2 0.140 0.000 0.428
Ga3 0.150 0.000 0.864
Ga4 0.156 0.500 0.294
Pt1 0.000 0.000 0.500
Pt2 0.147 0.500 0.006
```

Largest 8 diffraction maxima, by angle, 10 to 90 degrees two-theta:
- d 3.164, intensity 593, hkl 3 1 0
- d 2.671, intensity 469, hkl 6 0 -2
- d 2.595, intensity 1000, hkl 5 1 -2
- d 2.564, intensity 489, hkl 3 1 1
- d 2.518, intensity 492, hkl 3 1 -3
- d 2.353, intensity 413, hkl 1 1 -3
- d 2.271, intensity 683, hkl 0 2 0
- d 2.006, intensity 324, hkl 3 1 -4

Record 2
____________

What is needed: duplicate the block further up from the first line to the one with "2.271, intensity" with every line break kept.

Simulated XRD peak list of Sm3Pd2Au7 for Cu Kα, 1.54184 Å, from a crystal structure in Alexandria, relaxed with GGA-PBE.
Kinematic intensities with the Lorentz-polarization factor, no thermal factor.

Largest 10 diffraction maxima, sorted by position, 2θ = 5–70°:
2θ 5.70, I = 31, (0 2 0); 2θ 32.11, I = 11, (1 3 1); 2θ 32.33, I = 12, (0 8 1); 2θ 34.19, I = 100, (1 5 1); 2θ 37.11, I = 41, (1 7 1); 2θ 38.35, I = 17, (1 11 0); 2θ 40.73, I = 34, (0 14 0); 2θ 42.61, I = 31, (2 0 0); 2θ 45.84, I = 25, (0 0 2); 2θ 64.37, I = 18, (2 0 2)

Atomic structure:
Lattice parameters (Å, degrees): 4.243 30.992 3.959 90.00 90.00 90.00
Space group Cmmm (No. 65)
Symmetry-distinct sites (fractional):
Sm  0.000  0.000  0.000 x2
Sm  0.000  0.177  0.000 x4
Pd  0.000  0.363  0.500 x4
Au  0.000  0.079  0.500 x4
Au  0.000  0.277  0.500 x4
Au  0.000  0.426  0.000 x4
Au  0.000  0.500  0.500 x2


Starting from a crystal structure in Alexandria, relaxed with GGA+U, the PXRD pattern of Mn9Al2Si8H8O32 was simulated for CuKα.
Neutral-atom scattering factors, no anomalous dispersion.

Cell lengths 7.728, 8.432, 10.513 Å; angles 103.98, 104.53, 93.87 degrees
Atoms (fractional coordinates):
Mn: 0.000 0.000 0.000
Mn: 0.120 0.166 0.558
Mn: 0.138 0.392 0.073
Mn: 0.421 0.163 0.201
Mn: 0.448 0.431 0.727
Mn: 0.552 0.569 0.273
Mn: 0.579 0.837 0.799
Mn: 0.862 0.608 0.927
Mn: 0.880 0.834 0.442
Al: 0.268 0.780 0.132
Al: 0.732 0.220 0.868
Si: 0.179 0.746 0.800
Si: 0.206 0.432 0.397
Si: 0.300 0.811 0.451
Si: 0.313 0.116 0.859
Si: 0.687 0.884 0.141
Si: 0.700 0.189 0.549
Si: 0.794 0.568 0.603
Si: 0.821 0.254 0.200
H: 0.024 0.323 0.810
H: 0.138 0.989 0.270
H: 0.388 0.575 0.991
H: 0.499 0.014 0.625
H: 0.501 0.986 0.375
H: 0.612 0.425 0.009
H: 0.862 0.011 0.730
H: 0.976 0.677 0.190
O: 0.010 0.634 0.676
O: 0.055 0.640 0.132
O: 0.121 0.769 0.944
O: 0.139 0.928 0.441
O: 0.178 0.984 0.188
O: 0.199 0.930 0.771
O: 0.220 0.633 0.461
O: 0.247 0.167 0.999
O: 0.254 0.245 0.765
O: 0.273 0.349 0.522
O: 0.314 0.396 0.280
O: 0.355 0.577 0.075
O: 0.364 0.664 0.805
O: 0.386 0.790 0.321
O: 0.462 0.891 0.596
O: 0.472 0.904 0.117
O: 0.528 0.096 0.883
O: 0.538 0.109 0.404
O: 0.614 0.210 0.679
O: 0.636 0.336 0.195
O: 0.645 0.423 0.925
O: 0.686 0.604 0.720
O: 0.727 0.651 0.478
O: 0.746 0.755 0.235
O: 0.753 0.833 0.001
O: 0.780 0.367 0.539
O: 0.801 0.070 0.229
O: 0.822 0.016 0.812
O: 0.861 0.072 0.559
O: 0.879 0.231 0.056
O: 0.945 0.360 0.868
O: 0.990 0.366 0.324

Largest 10 diffraction maxima, sorted by position, 2θ from 10° to 90°:
- (1 0 -2), 18.7°, rel. 78
- (1 0 2), 24.4°, rel. 41
- (-2 1 1), 25.3°, rel. 37
- (-1 2 1), 26.2°, rel. 37
- (0 1 -3), 26.6°, rel. 68
- (-2 1 2), 28.7°, rel. 40
- (2 2 -1), 32.7°, rel. 100
- (-2 3 1), 40.1°, rel. 44
- (1 -1 4), 40.2°, rel. 46
- (3 2 -3), 44.1°, rel. 41


Record 1
Starting from a structure optimized by DFT (PBE), the powder diffractogram of Th3Ga8Pt3 was simulated for CuKα.

Cell and atoms:
```
data_Th3Ga8Pt3
_chemical_formula_sum 'Th6 Ga16 Pt6'
_cell_length_a 16.024
_cell_length_b 4.543
_cell_length_c 9.074
_cell_angle_alpha 90.00
_cell_angle_beta 124.39
_cell_angle_gamma 90.00
_symmetry_space_group_name_H-M 'C 1 2/m 1'
_symmetry_Int_Tables_number 12
loop_
_symmetry_equiv_pos_as_xyz
'x,y,z'
'-x,-y,-z'
'-x,y,-z'
'x,-y,z'
'x+1/2,y+1/2,z'
'-x+1/2,-y+1/2,-z'
'-x+1/2,y+1/2,-z'
'x+1/2,-y+1/2,z'
loop_
_atom_site_label
_atom_site_fract_x
_atom_site_fract_y
_atom_site_fract_z
Th1 0.000 0.000 0.000
Th2 0.211 0.500 0.714
Ga1 0.001 0.500 0.677
Ga2 0.140 0.000 0.428
Ga3 0.150 0.000 0.864
Ga4 0.156 0.500 0.294
Pt1 0.000 0.000 0.500
Pt2 0.147 0.500 0.006
```

Largest 8 diffraction maxima, by angle, 10 to 90 degrees two-theta:
- d 3.164, intensity 593, hkl 3 1 0
- d 2.671, intensity 469, hkl 6 0 -2
- d 2.595, intensity 1000, hkl 5 1 -2
- d 2.564, intensity 489, hkl 3 1 1
- d 2.518, intensity 492, hkl 3 1 -3
- d 2.353, intensity 413, hkl 1 1 -3
- d 2.271, intensity 683, hkl 0 2 0